Wanted >
Print the lines further below up to the one that holds "10.82210", that line included, please.

Entries >
=====
1.
A molecular structure, C5H4BrNO3Tl. Source: the Open Molecules 2025 dataset; level of theory: the ωB97M-V functional and the def2-TZVPD basis.

Last column: natural (NBO) charge in e.
CARTESIAN COORDINATES (ANGSTROEM)
1 Tl -2.62711 -3.22129 0.03028  0.95
2 Br 0.05066 -2.28265 -3.39123  0.44
3 O -0.73599 -2.11215 -1.74081  -0.63
4 O 1.59178 2.43678 0.68298  -0.63
5 O 0.53649 -0.32750 -1.43104  -0.47
6 N -1.01889 -1.12470 0.19199  -0.72
7 C -0.87896 -0.21201 1.26205  0.02
8 C -0.08238 0.84132 1.36362  -0.29
9 C -0.37590 -1.09530 -0.91304  0.90
10 C 1.12522 0.81210 -0.83378  0.02
11 C 0.87793 1.33359 0.36166  0.24
12 H 1.36160 2.75786 1.55807  0.49
13 H 1.84880 1.24034 -1.50589  0.23
14 H -1.53890 -0.45928 2.08225  0.21
15 H -0.13435 1.41289 2.28290  0.23

The calculated total energy comes out at -3219.57358 Eh. The charge is +1. The value obtained for the LUMO energy is -4.6474 eV. The value obtained for the HOMO energy is -11.6 eV.


2.
11 unconnected molecules or ions with the total composition C62H157N11O20. Source: the Open Molecules 2025 dataset; level of theory: the ωB97M-V functional and the def2-TZVPD basis.

Last column: Löwdin charge in e.
CARTESIAN COORDINATES (ANGSTROEM)
1 O 29.22806 -4.43189 4.90262  -0.19
2 O 23.27741 -13.07382 10.82210  -0.19
3 O 24.47952 3.78310 5.22354  -0.25
4 O 30.62487 -4.10729 11.91344  -0.22
5 O 20.44859 3.00221 7.38262  -0.19
6 O 27.05560 -3.24000 -2.85314  -0.19
7 O 30.93912 -7.90081 8.83569  -0.19
8 O 24.22596 -7.62339 12.78939  -0.20
9 O 26.48848 -10.58176 16.02889  -0.20
10 O 19.18432 -1.18222 3.55106  -0.21
11 O 24.68437 -0.74574 5.04798  -0.17
12 O 25.43110 1.48380 10.30876  -0.18
13 O 30.26232 -7.31040 14.76369  -0.20
14 O 26.38352 -4.52269 10.32853  -0.19
15 O 28.52822 4.46022 -4.12348  -0.18
16 O 24.80692 4.15419 1.26969  -0.21
17 O 27.66605 -7.79711 0.68303  -0.20
18 O 20.09703 -3.83555 5.39524  -0.20
19 O 20.53846 -1.11798 11.33535  -0.17
20 O 24.56155 -3.21717 1.43336  -0.19
21 N 29.65019 -10.91850 15.44612  -0.06
22 N 24.19074 -3.12109 7.78047  -0.06
23 N 22.77716 -10.37688 11.45822  -0.05
24 N 20.27528 -0.54891 6.17146  -0.03
25 N 28.49884 -4.82788 1.86009  -0.05
26 N 24.58806 -4.79765 -1.51204  -0.03
27 N 25.82661 5.96310 7.13598  0.06
28 N 32.33552 -5.86069 10.14300  -0.04
29 N 23.76180 3.79133 7.90889  0.06
30 N 20.71136 -2.99790 8.16496  -0.07
31 N 26.44638 5.18347 -1.25214  -0.10
32 C 27.66027 -4.80155 3.05166  -0.21
33 C 25.83076 3.22246 1.15609  -0.13
34 C 24.49397 3.38336 9.08058  -0.44
35 C 24.61643 -3.39828 -1.01001  -0.19
36 C 27.88352 -5.34212 0.65072  -0.21
37 C 21.77457 -11.43342 11.59444  -0.22
38 C 23.08474 -7.99110 12.03422  -0.22
39 C 25.02156 0.58110 5.35054  -0.11
40 C 24.60755 -3.52107 9.11072  -0.20
41 C 20.09113 -0.11608 3.72030  -0.21
42 C 23.76677 -3.28994 0.25744  -0.21
43 C 26.74687 4.65236 -2.58607  -0.19
44 C 23.41344 3.83326 4.29925  -0.09
45 C 18.01126 -0.90901 2.86782  -0.12
46 C 31.82482 -4.72657 12.29665  -0.24
47 C 20.98151 -0.45002 4.88386  -0.20
48 C 22.56888 -9.33788 12.48827  -0.19
49 C 28.42012 -3.01036 -3.01164  -0.12
50 C 26.07593 -3.89113 9.11653  -0.23
51 C 27.28119 3.98370 6.69848  -0.06
52 C 29.92175 4.35439 -4.34965  -0.10
53 C 29.47978 -9.48587 15.66669  -0.21
54 C 25.04519 5.30601 -0.88709  -0.21
55 C 29.73721 -3.49778 5.82195  -0.11
56 C 30.23825 -6.71508 9.12698  -0.24
57 C 27.25171 -11.51582 15.27806  -0.22
58 C 20.77771 0.22071 11.69216  -0.12
59 C 28.23979 4.75695 -2.79610  -0.27
60 C 28.17013 -3.89054 4.13004  -0.23
61 C 27.74983 -4.56992 10.63620  -0.09
62 C 23.67331 3.79634 10.30582  -0.05
63 C 24.88719 5.39050 0.61816  -0.23
64 C 20.27720 -4.29842 4.05947  -0.08
65 C 24.04991 -1.44585 6.08270  -0.23
66 C 25.19924 -4.78028 -2.85172  -0.20
67 C 24.93443 -2.03004 7.18502  -0.20
68 C 30.49662 -2.78669 12.37686  -0.11
69 C 20.67817 1.92880 6.51569  -0.24
70 C 30.16039 -8.69600 14.53596  -0.24
71 C 28.50310 -8.11416 1.79986  -0.08
72 C 22.01878 -12.50417 10.57548  -0.25
73 C 26.44203 5.09308 6.10667  -0.43
=====

Completed >
1.
A molecular structure, C5H4BrNO3Tl. Source: the Open Molecules 2025 dataset; level of theory: the ωB97M-V functional and the def2-TZVPD basis.

Last column: natural (NBO) charge in e.
CARTESIAN COORDINATES (ANGSTROEM)
1 Tl -2.62711 -3.22129 0.03028  0.95
2 Br 0.05066 -2.28265 -3.39123  0.44
3 O -0.73599 -2.11215 -1.74081  -0.63
4 O 1.59178 2.43678 0.68298  -0.63
5 O 0.53649 -0.32750 -1.43104  -0.47
6 N -1.01889 -1.12470 0.19199  -0.72
7 C -0.87896 -0.21201 1.26205  0.02
8 C -0.08238 0.84132 1.36362  -0.29
9 C -0.37590 -1.09530 -0.91304  0.90
10 C 1.12522 0.81210 -0.83378  0.02
11 C 0.87793 1.33359 0.36166  0.24
12 H 1.36160 2.75786 1.55807  0.49
13 H 1.84880 1.24034 -1.50589  0.23
14 H -1.53890 -0.45928 2.08225  0.21
15 H -0.13435 1.41289 2.28290  0.23

The calculated total energy comes out at -3219.57358 Eh. The charge is +1. The value obtained for the LUMO energy is -4.6474 eV. The value obtained for the HOMO energy is -11.6 eV.


2.
11 unconnected molecules or ions with the total composition C62H157N11O20. Source: the Open Molecules 2025 dataset; level of theory: the ωB97M-V functional and the def2-TZVPD basis.

Last column: Löwdin charge in e.
CARTESIAN COORDINATES (ANGSTROEM)
1 O 29.22806 -4.43189 4.90262  -0.19
2 O 23.27741 -13.07382 10.82210  -0.19